It was eight forty-three on one of those listless Canadian March days that make one think that winter never ends, the snow never melts, and that nothing interesting ever happens.

The weak winter light filtered through the blinds of the room and stirred Alexandra from her restlessness. She was cold, covered only by her bathrobe because the boy sleeping next to her was wrapped up in her sheets. He had pulled her into him, his arm wrapped over her, leaving her trapped between him and the wall. She relaxed for a few minutes, enjoying the feel of a human body in this most intimate of positions. In this way she forgot just whom it was lying next to her; it was just a place she was looking for.

== Crystal structures, kept here for reference ==
# Nb27N37O3

Crystalline Nb27N37O3 at its relaxed geometry (PBE, the Materials Project database).

abc: 4.239 5.395 42.995
angles: 79.10 66.87 67.01
Fractional coordinates of all 67 atoms:
N  0.303  0.811  0.073
Nb  0.603  0.575  0.027
Nb  0.587  0.647  0.647
N  0.091  0.606  0.526
Nb  0.391  0.392  0.853
Nb  0.019  0.021  0.118
N  0.884  0.393  0.105
Nb  0.789  0.794  0.204
O  0.092  0.614  0.275
Nb  0.437  0.355  0.221
N  0.892  0.400  0.977
N  0.097  0.610  0.899
N  0.313  0.780  0.699
N  0.324  0.778  0.822
N  0.675  0.221  0.553
N  0.341  0.745  0.197
Nb  0.787  0.873  0.069
Nb  0.600  0.571  0.529
N  0.524  0.968  0.998
N  0.294  0.823  0.323
N  0.095  0.614  0.650
Nb  0.785  0.876  0.319
N  0.871  0.432  0.478
O  0.081  0.632  0.151
N  0.874  0.444  0.601
N  0.496  0.011  0.625
N  0.675  0.220  0.679
N  0.097  0.612  0.399
N  0.898  0.402  0.725
Nb  0.394  0.406  0.350
Nb  0.189  0.198  0.928
Nb  0.605  0.580  0.776
Nb  0.611  0.549  0.404
N  0.691  0.221  0.050
Nb  0.780  0.825  0.452
N  0.523  0.995  0.495
N  0.334  0.742  0.449
N  0.527  0.985  0.245
Nb  0.387  0.396  0.603
N  0.494  0.013  0.875
N  0.541  0.953  0.121
Nb  0.411  0.322  0.982
N  0.097  0.598  0.776
N  0.699  0.195  0.176
Nb  0.811  0.832  0.819
Nb  0.585  0.653  0.897
N  0.519  0.986  0.372
Nb  0.204  0.192  0.675
O  0.098  0.593  0.027
N  0.876  0.418  0.229
N  0.312  0.779  0.950
Nb  0.375  0.388  0.483
N  0.313  0.786  0.574
N  0.683  0.233  0.300
Nb  0.812  0.796  0.697
N  0.673  0.218  0.804
Nb  0.017  0.004  0.370
N  0.676  0.218  0.929
N  0.525  0.972  0.747
Nb  0.616  0.581  0.147
N  0.883  0.428  0.351
Nb  0.399  0.335  0.733
N  0.711  0.188  0.424
Nb  0.814  0.793  0.948
Nb  0.802  0.835  0.571
N  0.870  0.449  0.851
Nb  0.585  0.607  0.278

Properties
M_tot = 0.0 μB per cell
energy = -9.770 eV per atom
ΔE_f = -905.1 meV per atom
SG = P1


[1]
86
Lattice="8.4857 0.0000 0.0000 -3.7838 9.7261 0.0000 -1.2197 -2.0386 13.3067" Properties=species:S:1:pos:R:3 comment="BaTi14O28, relaxed, DFT GGA-PBE" energy_mp2020_ev_per_atom=-9.2981 formation_energy_ev_per_atom=-3.46 spacegroup="P-1 (2)" pbc="T T T"
Ba 0.4799 2.3418 2.8453
Ba 3.0022 5.3457 10.4615
Ti 0.8615 6.5512 3.8472
Ti 2.4467 4.9089 5.7763
Ti 1.8273 6.2473 0.4260
Ti -0.9333 5.9020 11.8138
Ti -3.1695 6.5159 7.1482
Ti -0.0743 3.0852 10.9549
Ti 1.6549 1.4402 12.8807
Ti -1.5772 4.8240 9.0542
Ti 4.4155 1.7855 1.4929
Ti -0.6191 4.5787 5.6599
Ti 1.0354 2.7786 7.5304
Ti 4.7444 7.8990 1.7928
Ti -2.1581 6.2181 3.6848
Ti 2.6206 1.1363 9.4595
Ti 4.1012 3.1088 7.6468
Ti 5.6402 1.4695 9.6219
Ti -1.2622 -0.2115 11.5139
Ti -0.7389 8.2500 1.9519
Ti 0.3026 -1.8693 13.2725
Ti 3.5565 4.6023 2.3518
Ti 6.6517 1.1716 6.1585
Ti 5.0593 2.8635 4.2526
Ti -0.3303 -0.4730 8.0252
Ti -2.4184 7.6418 9.8753
Ti 3.8124 8.1605 5.2815
Ti 5.9005 0.0458 3.4314
Ti 3.1795 9.5569 0.0343
Ti 4.2211 -0.5624 11.3549
O 0.8162 6.0208 12.8173
O 2.4038 4.3385 7.6483
O -0.7461 7.6469 3.8244
O 0.8237 5.9821 5.7248
O 0.7983 6.9448 1.8743
O 2.3563 5.2067 3.7697

Their night was littered all over the linoleum floor. Clothing crumpled and laying where it fell. She had shucked hers like a snake shucked its skin, moving on from something else.

She remembered the night before like a dream. It seemed to have all taken place in a warmer light. She had been sitting in front of him, drinking her rum and coke and not looking in his direction. On the way to the party he had picked her up when she’d fallen in the snow. At the party, and this is where things started to become hazy, all she remembered was somehow meeting his mouth and his whiskey kiss.

• Here the page breaks off for records of crystals:
- - -
1.
Na3Hg2 | GGA-PBE | relaxed

Output
E above lowest polymorph = 0.00 kcal/mol of atoms

Unit cell a=8.5444 b=8.5444 c=7.9258 alpha=90.00 beta=90.00 gamma=90.00
Space group P4_2/mnm (No. 136)
Asymmetric unit:
Na1 0.0000 0.5000 0.2500 (multiplicity 4)
Na2 0.1415 0.1415 0.0000 (multiplicity 4)
Na3 0.2063 0.2063 0.5000 (multiplicity 4)
Hg1 0.1268 0.8732 0.3062 (multiplicity 8)

---

2.
K3Ti4Ge3O20 | GGA-PBE | relaxed

Output
spin magnetization = 6.996 μB per formula unit

Unit cell a=11.2091 b=11.2091 c=7.9492 alpha=90.00 beta=90.00 gamma=90.00
Space group P-4b2 (No. 117)
Asymmetric unit:
K1 0.0000 0.5000 0.0000 (multiplicity 2)
K2 0.2351 0.2649 0.5000 (multiplicity 4)
Ti1 0.0092 0.8550 0.8551 (multiplicity 8)
Ge1 0.0000 0.0000 0.5000 (multiplicity 2)
Ge2 0.2301 0.2699 0.0000 (multiplicity 4)
O1 0.0038 0.8680 0.6197 (multiplicity 8)
O2 0.0133 0.8860 0.1116 (multiplicity 8)
O3 0.0525 0.6975 0.2399 (multiplicity 8)
O4 0.0992 0.2712 0.8768 (multiplicity 8)
O5 0.1508 0.7609 0.8560 (multiplicity 8)

---

3.
GdMgZn2 | GGA-PBE | relaxed

Unit cell a=6.8959 b=6.8959 c=6.8959 alpha=90.00 beta=90.00 gamma=90.00
- - -

“Maybe you guys should go somewhere else,” said a friend of hers. “This isn’t even our party.”

They hadn’t realized they’d been the focal point of the room.

She’d forgotten her gloves as they hastily put on their coats and boots. That had been a difficult process, as groping was not conducive to the assembly of winter wear. But her hands weren’t cold on the way home. He’d held her hand and pressed it. She looked out of the window of the taxi and watched the people they passed on the way.

“I had my eye on you,” he said, as he came up behind her, their naked bodies touching for the first time. He couldn’t see it as he kissed her neck, pressing his palms into her shoulders, but she smiled. She smiled because she’d known it all along. She had known he was coming home with her before they had even left. She knew she could have him if she wanted.

The most intimate parts were the ones she couldn’t remember. What she did with her body didn’t seem all that important. It was just the body of another that held some meaning; knowing someone else in the carnal, the most simple, of ways.

He wasn’t very good, that much she knew. But she appreciated how he curved her into him, her toes curling over his at the end of the twin bed. She liked how his body warmed hers, the dormitory room under heated, as the winter day brought in light so pale and bitter.

<<<
The following is a DFT calculation (PBE-GGA) of MoN after structural relaxation.

- DFT formation energy: -0.131 eV/atom

Lattice parameters (Å, degrees): 6.068 6.068 5.110 82.97 82.97 100.37
Fractional positions:
Mo1 0.875 0.875 0.768
Mo2 0.125 0.125 0.232
Mo3 0.399 0.025 0.727
Mo4 0.025 0.399 0.727
Mo5 0.516 0.516 0.740
Mo6 0.601 0.975 0.273
Mo7 0.975 0.601 0.273
Mo8 0.484 0.484 0.260
N1 0.314 0.686 0.500
N2 0.686 0.314 0.500
N3 0.200 0.458 0.050
N4 0.542 0.800 0.950
N5 0.131 0.869 0.000
N6 0.458 0.200 0.050
N7 0.869 0.131 0.000
N8 0.800 0.542 0.950

***

The following is a DFT calculation (PBE-GGA) of MoN after structural relaxation.

- DFT formation energy: -0.292 eV/atom

Lattice parameters (Å, degrees): 2.830 2.830 6.136 80.35 80.35 89.11
Fractional positions:
Mo1 0.853 0.853 0.703
Mo2 0.147 0.147 0.297
N1 0.687 0.687 0.197
N2 0.313 0.313 0.803

***

The following is a DFT calculation (PBE-GGA) of MoN2 after structural relaxation.

- DFT formation energy: -0.097 eV/atom

Lattice parameters (Å, degrees): 5.681 5.681 4.185 69.03 69.03 38.42
Fractional positions:
Mo1 0.617 0.617 0.692
Mo2 0.383 0.383 0.308
N1 0.833 0.833 0.443
N2 0.167 0.167 0.557
N3 0.585 0.585 0.155
N4 0.415 0.415 0.845

***

The following is a DFT calculation (PBE-GGA) of MoN after structural relaxation.

- DFT formation energy: 0.192 eV/atom

Lattice parameters (Å, degrees): 2.705 2.705 2.705 90.00 90.00 90.00
Fractional positions:
Mo1 0.000 0.000 0.000
N1 0.500 0.500 0.500

***

The following is a DFT calculation (PBE-GGA) of MoN after structural relaxation.

- DFT formation energy: -0.547 eV/atom

Lattice parameters (Å, degrees): 5.772 5.772 5.678 90.00 90.00 120.00
Fractional positions:
Mo1 0.512 0.488 0.748
Mo2 0.024 0.512 0.248
Mo3 0.488 0.976 0.248
Mo4 0.512 0.024 0.748
Mo5 0.488 0.512 0.248
Mo6 0.976 0.488 0.748
Mo7 0.000 0.000 0.258
Mo8 0.000 0.000 0.758
N1 0.166 0.333 0.992
N2 0.333 0.166 0.492
N3 0.834 0.667 0.492
N4 0.834 0.166 0.492
N5 0.667 0.333 0.022
N6 0.166 0.834 0.992
N7 0.667 0.834 0.992
N8 0.333 0.667 0.522

***

The following is a DFT calculation (PBE-GGA) of Mo3Pb3N5 after structural relaxation.

- DFT formation energy: -0.072 eV/atom

Lattice parameters (Å, degrees): 6.129 7.976 8.843 107.57 97.11 99.91
Fractional positions:
Mo1 0.928 0.313 0.968
Mo2 0.072 0.687 0.032
Mo3 0.675 0.997 0.614
Mo4 0.325 0.003 0.386
Mo5 0.080 0.907 0.708
Mo6 0.920 0.093 0.292
Pb1 0.748 0.453 0.517
Pb2 0.252 0.547 0.483
Pb3 0.521 0.804 0.883
Pb4 0.479 0.196 0.117
Pb5 0.571 0.647 0.218
Pb6 0.429 0.353 0.782
N1 0.970 0.131 0.776
N2 0.030 0.869 0.224
N3 0.804 0.785 0.557
N4 0.196 0.215 0.443
N5 0.778 0.523 0.978
N6 0.222 0.477 0.022
N7 0.330 0.940 0.586
N8 0.670 0.060 0.414
N9 0.101 0.796 0.871
N10 0.899 0.204 0.129

~~~~~

[1]
BaFeSi4O10 | GGA+U | optimized geometry

Cell lengths 7.5443, 7.6457, 8.2150 Å; angles 90.00, 90.00, 90.00 degrees
Last column: nearest neighbours and their distance in Å.
Sites, in units of the cell vectors:
Si  0.2595  0.1843  0.7015  4 O 1.61-1.65
>>>

She stretched and the boy grazed his hands along her tensed stomach. They didn’t talk. She barely even knew his name, yet he had known the most intimate parts of her. There was nothing more to say.

She sat up and looked at him, this boy she barely knew, and traced the outline of his ear. He turned towards her and avoided her eyes, head on the pillow.
“I’m sorry, ” he said. “Looks like you brought the wrong guy home.” His thin lips closed around this admission. Lips that couldn’t kiss her the way she wanted to be kissed. Lips that pressed themselves against hers, wanting to satisfy. Their mouths didn’t work in sync.

Sighing, she rolled him over and straddled him, pulling him up so that her chin grazed his forehead where she gently kissed him. He wrapped his arms around her torso and pressed his face into her breasts.

“Do you know what it is to be tired all the time?” he asked, imploring her to accept his explanation. He sighed into her chest, and she clutched the hair on the back of his head. “We’ll just have to do this again when I’m sober.”
He squeezed her a little harder, bending her backwards towards the bed. “There will be a next time, right?” Alexandra smiled a sad smile. She wished that this boy was someone he wasn’t. No one in particular, just maybe the better parts of the men she’d known. He felt so vulnerable to her, like she could crush his feelings with her whisper. In response, a response that promised nothing but left lingering possibilities, she kissed him softly on the neck and worked her way up to his ear, the way she knew he liked. His seemed to accept this as an answer.

She watched him go. As he dressed, he occasionally glanced back at her, obviously unsure of what came next. She took in his skinny body, still a boy’s physique, feeling a slight disgust at how it contrasted with her curves. He buckled his watch, which he’d left on her night table. She recalled him taking it off the night before, methodically removing it even in the throws of passion. Somehow this endeared him to her. It was a simple, manly gesture.
He took one final look at her. He seemed to be asking her what to do. Then he mussed her hair as she lay, still, on the bed. There was an awkward silence.
“See ya,” was all he could come up with. But the truth was she didn’t know how these sorts of things were done either.

She wasn’t sad when he left. She was just alone again.

The day was growing on. There was more sun, but it wasn’t any warmer. Her friends were waking up now, wanting her to tell them how it went with the guy. They laughed when she said he couldn’t get it up. She was as embarrassed now as he had been.

Later, cleaning her room, she found a scattering of little red Tylenols on her carpet. When she talked to him next, he said he’d been so drunk he had confused them for candy hearts.